Fires of War (War and Deceit #4) - Erin O'Kane Page 0,141

the impression she’s laughing at me.

Blowing out a breath, I raise both hands and place them against the wall. The effect is instant, the magic in the wall sucking at my strength as my gift tries to break it. This spell is huge. I knew it was going to be large, but I hadn’t taken it being a bubble and just how much more magic that would need to break into account. With dawning comprehension, I realise I’m not strong enough to handle that much magic. The pain quickly moves from my hands to the rest of my body, and my back arches, setting me into spasms. I need my mates. Why was I so foolish to think I could do this alone?

You are never alone, my beloved, the Mother whispers into my mind, lending me her strength and soothing my pain. Now that my pain has eased, an idea comes to me. The magic is like a bubble. I may not be strong enough to break the whole spell, but if I can unwrite enough of it, can I pop it? Stretching my awareness, I search for any weak spots, and after a few moments, I am rewarded. I focus all of my will and strength on that one spot, praying it’s enough.

A loud crack is the first indication that it’s working. I want to shout out my victory, but we’re not done yet, so I keep going. All of a sudden, my concentration is broken when the kelpie jerks me away from the wall, racing with all her speed up the river as I cling on with all my might. I’m a combination of emotions—excitement, fear, and trepidation. I’m destroying a city, the home of so many elves, yet the forsaken will obliterate us if I don’t do something about it.

Banging and roaring sounds behind us. We did it.

The kelpie stops and turns us in the water in time to see the dam fall. Dust and water billow into the air as the river drops and we start to get dragged towards the gaping hole I just created. Horror makes my blood run cold.

~~~
1.
# Na8ZnSi5Sn3SO24 | the Materials Project database | GGA-PBE | optimized geometry
# Space group: P1, No. 1
data_Na8ZnSi5Sn3SO24
_cell_length_a 9.163
_cell_length_b 9.153
_cell_length_c 22.482
_cell_angle_alpha 90.53
_cell_angle_beta 90.38
_cell_angle_gamma 120.09
_space_group_name_H-M_alt 'P 1'
_space_group_IT_number 1
loop_
_space_group_symop_operation_xyz
'x,y,z'
loop_
_atom_site_label
_atom_site_type_symbol
_atom_site_fract_x
_atom_site_fract_y
_atom_site_fract_z
Zn1 Zn 0.996 0.012 0.358
Zn2 Zn 0.680 0.333 0.170
Zn3 Zn 0.647 0.329 0.689
O1 O 0.171 0.187 0.414
O2 O 0.375 0.879 0.859
O3 O 0.505 0.625 0.858
O4 O 0.969 0.176 0.309
O5 O 0.495 0.848 0.078
O6 O 0.522 0.825 0.754
O7 O 0.184 0.964 0.196
O8 O 0.963 0.788 0.809
O9 O 0.168 0.214 0.690
O10 O 0.490 0.372 0.146
O11 O 0.157 0.700 0.476
O12 O 0.121 0.495 0.859
O13 O 0.501 0.880 0.356
O14 O 0.832 0.017 0.089
O15 O 0.180 0.489 0.255
O16 O 0.629 0.509 0.641
O17 O 0.978 0.181 0.586
O18 O 0.787 0.960 0.689
O19 O 0.841 0.552 0.026
O20 O 0.535 0.698 0.254
O21 O 0.642 0.149 0.422
O22 O 0.836 0.823 0.587
O23 O 0.302 0.479 0.754
O24 O 0.344 0.844 0.578
O25 O 0.852 0.488 0.423
O26 O 0.547 0.844 0.474
O27 O 0.355 0.503 0.079
O28 O 0.176 0.693 0.755
O29 O 0.855 0.304 0.527
O30 O 0.293 0.842 0.976
O31 O 0.456 0.295 0.026
O32 O 0.493 0.644 0.577
O33 O 0.473 0.310 0.749
O34 O 0.853 0.357 0.922
O35 O 0.133 0.488 0.577
O36 O 0.835 0.517 0.744
O37 O 0.549 0.707 0.976
O38 O 0.022 0.186 0.913
O39 O 0.019 0.832 0.410
O40 O 0.508 0.362 0.420
O41 O 0.809 0.975 0.412
O42 O 0.497 0.117 0.641
O43 O 0.708 0.161 0.026
O44 O 0.893 0.521 0.145
O45 O 0.981 0.819 0.093
O46 O 0.783 0.813 0.197
O47 O 0.152 0.650 0.078
O48 O 0.294 0.459 0.475
O49 O 0.833 0.319 0.248
O50 O 0.163 0.978 0.913
O51 O 0.711 0.554 0.524
O52 O 0.681 0.536 0.246
O53 O 0.826 0.035 0.809
O54 O 0.205 0.172 0.809
O55 O 0.885 0.363 0.636
O56 O 0.044 0.215 0.193
O57 O 0.310 0.841 0.254
O58 O 0.158 0.451 0.976
O59 O 0.183 0.025 0.587
O60 O 0.460 0.150 0.247
O61 O 0.110 0.621 0.358
O62 O 0.048 0.821 0.691
O63 O 0.815 0.837 0.913
O64 O 0.209 0.018 0.305
O65 O 0.643 0.496 0.922
O66 O 0.189 0.163 0.088
O67 O 0.621 0.106 0.145
O68 O 0.693 0.169 0.745
O69 O 0.382 0.495 0.358
O70 O 0.504 0.147 0.923
O71 O 0.450 0.154 0.523
O72 O 0.813 0.789 0.304
Sn1 Sn 0.668 0.335 0.982
Sn2 Sn 0.999 0.999 0.852
Sn3 Sn 0.342 0.676 0.516
Sn4 Sn 0.001 0.989 0.653
Sn5 Sn 0.659 0.336 0.481
Sn6 Sn 0.323 0.655 0.322
Sn7 Sn 0.334 0.667 0.815
Sn8 Sn 0.005 0.013 0.145
Sn9 Sn 0.334 0.666 0.017
Na1 Na 0.965 0.666 0.915
Na2 Na 0.663 0.694 0.079
Na3 Na 0.676 0.332 0.333
Na4 Na 0.700 0.034 0.915
Na5 Na 0.314 0.333 0.588
Na6 Na 0.341 0.673 0.672
Na7 Na 0.667 0.333 0.828
Na8 Na 0.328 0.661 0.160
Na9 Na 0.966 0.290 0.412
Na10 Na 0.645 0.019 0.247
Na11 Na 0.032 0.706 0.584
Na12 Na 0.633 0.621 0.748
Na13 Na 0.379 0.010 0.748
Na14 Na 0.001 0.994 0.496
Na15 Na 0.307 0.970 0.079
Na16 Na 0.032 0.339 0.081
Na17 Na 0.660 0.964 0.590
Na18 Na 0.710 0.677 0.418
Na19 Na 0.334 0.300 0.915
~~~

“No, take me to the shore!” I shout, desperate to be heard above the noise of the water and falling stone. The kelpie rises from the water, throwing her head back with a piercing shriek. Other kelpies rise from the water around us, the air shimmering with something that feels like…hope. Turning her head, the kelpie pushes a thought into my mind.

I won’t let you drown, beloved. Hold on tight. There is dark humour in her thoughts, but I trust her not to go back on her word. Leaning forward, I wrap my arms around her neck just in time as she rears back, her front legs coming out of the water as she neighs her triumph.

Leading the charge, she dashes towards the gap in the dam, and I can’t hold back my scream as we leap over the vertical edge—except we aren’t falling. They are literally running down the water. A flash catches my eye, and I see Vaeril racing along the cliff’s edge, trying to keep up. He’s fast, but not as fast as us.

We’ve almost caught up with the initial wave now. It’s huge, I just have to pray that the meeting place I arranged for our army is high enough so they are safe from the destruction of the flood. Riding through the valley, we round the corner, and I spot the ridge with the army waiting on it. Beyond that, in the bottom of the valley, are the city and the palace. Our army sees the wave first, then they spot me atop the kelpie and start cheering, waving their swords and shields as I speed past them.

The kelpie I’m on pulls back from the others, and I realise that’s because she carries me. The others race forward, surging with the waves, jumping and crashing through the spray. As we continue through the valley, we enter the city, and I begin to see the forsaken.

They’re everywhere. We wouldn’t have stood a chance. The wave takes out most of them, dragging them into the water and pulling down the buildings closest to the river’s edge. My heart breaks a little at the destruction of a city that meant so much to me, but buildings can be rebuilt. There’s no point in having a pristine city if there’s no one left to live in it.

The numbers of forsaken—the overall loss of life Copyright 2016 - 2024